by HRC Staff •
Incoming House Speaker Eileen Filler-Corn joined Equality Virginia and other Virginia Values Coalition members to highlight the importance of passing LGBTQ protections in the upcoming General Assembly.
Entry 1:
The text goes on =
Incoming House Speaker Eileen Filler-Corn joined Equality Virginia and other Virginia Values Coalition members to highlight the importance of passing LGBTQ protections in the upcoming General Assembly today. During the 2020 legislative session, the Coalition, which consists of statewide and national organizations and individuals across the Commonwealth, will advocate for passage of comprehensive nondiscrimination protections for LGBTQ Virginians.
## Attached: records of molecules
# C8H19BrN3O5P2S2

2 unconnected molecules or ions with the total composition C8H19BrN3O5P2S2 in a non-equilibrium geometry (ωB97M-V with the def2-TZVPD basis set, OMol25).

LUMO energy = -3.044 eV
Net charge = +1
Calculated total energy = -4909.4076 a.u.

Each line ends with the Löwdin charge.
Cartesian coordinates (Å):
N (0.98384, -0.20929, 0.52250)  0.126
C (1.00222, 1.17849, 0.81735)  -0.500
N (1.98817, 1.61860, 1.79664)  0.190
C (3.12829, 1.18147, 1.65009)  -0.301
O (4.17115, 0.73488, 1.48454)  0.260
N (-0.41405, 1.41082, 1.38917)  0.146
C (-1.32423, 1.80408, 0.25376)  -0.691
Br (-1.93230, 3.64112, 0.47313)  0.909
C (-2.58773, 0.86504, 0.11661)  -0.176
O (-3.78527, 1.57267, -0.03986)  -0.205
O (-4.31194, 1.30225, -1.33587)  0.004
C (-0.40816, 1.65420, -1.01024)  -0.478
P (-0.95206, 2.49406, -2.57695)  0.345
S (-1.08117, 1.23296, -4.04162)  0.183
C (0.93412, 2.09182, -0.40820)  -0.371
P (2.43003, 2.08731, -1.45482)  0.754
O (2.82563, 0.72064, -1.85362)  -0.396
H (1.27637, -0.78212, 1.30126)  0.091
H (1.48921, -0.43259, -0.33166)  0.104
H (-0.49207, 2.03206, 2.19769)  0.170
H (-0.74155, 0.46495, 1.62371)  0.170
H (-2.46370, 0.19464, -0.73216)  0.142
H (-2.70985, 0.27887, 1.03402)  0.141
H (-4.36258, 2.17754, -1.75181)  0.104
H (-0.47763, 0.60033, -1.27176)  0.095
H (-0.04118, 3.52233, -2.87118)  -0.018
H (-2.22095, 3.01702, -2.28973)  -0.047
H (0.83084, 3.10979, -0.01242)  0.111
H (3.41992, 2.79802, -0.74695)  0.041
H (2.06524, 2.83956, -2.58864)  0.021
C (0.80238, -4.63000, 2.35385)  -0.261
S (0.90594, -3.68180, 0.83473)  0.827
O (-0.02625, -2.51236, 0.97650)  -0.592
C (0.08540, -4.88223, -0.21140)  -0.258
H (1.23095, -4.03355, 3.15661)  0.052
H (-0.24126, -4.85104, 2.57585)  0.063
H (1.37223, -5.55176, 2.24233)  0.061
H (-0.91127, -5.08488, 0.17948)  0.064
H (0.67755, -5.79609, -0.24188)  0.062
H (0.01080, -4.46319, -1.21256)  0.056

=====

# C3H4CsLiO5

A molecular structure, C3H4CsLiO5 in a non-equilibrium geometry (ωB97M-V with the def2-TZVPD basis set, OMol25).

LUMO energy = -1.882 eV
Energy above the lowest of the compared OMol25 structures with the same formula, charge and spin = 90.1 kcal per mole
Calculated total energy = -520.4540 a.u.

Each line ends with the Löwdin charge.
Cartesian coordinates (Å):
C (1.71682, -0.53257, 2.15402)  -0.213
C (2.18559, 0.90021, 1.88106)  -0.182
O (3.31583, 1.27164, 2.22677)  0.042
O (0.37446, -0.52407, 2.62051)  -0.120
H (2.36483, -0.99238, 2.89818)  0.127
H (1.78607, -1.11549, 1.23547)  0.127
H (1.47959, 1.54448, 1.35829)  0.123
Cs (-2.77265, -2.62769, 1.82736)  0.940
O (-0.81446, -0.00026, -3.83651)  -0.161
C (-2.04964, -0.08477, -3.75683)  -1.197
O (-2.54016, 0.04254, -2.60346)  -0.256
O (-2.76036, 0.24927, -4.73161)  -0.154
Li (-2.11317, 2.25433, -3.05983)  0.827
H (-0.17275, -0.38526, 1.78660)  0.097

=====

# C4H9NO

A molecular structure, C4H9NO in a non-equilibrium geometry (ωB97M-V with the def2-TZVPD basis set, OMol25).

LUMO energy = -0.786 eV
“I’m dedicated to building a more inclusive and equal Commonwealth for everyone,” said Filler-Corn. “We have an opportunity to send a message that Virginia welcomes all people to live, work, and raise a family. I’m committed to passing comprehensive nondiscrimination protections in the upcoming General Assembly that will protect LGBTQ Virginians from discrimination and harassment in employment, housing, and public spaces.”
Virginia is home to 185,000 LGBTQ adults. Under current Virginia law – as in 29 other U.S. states – LGBTQ people are not explicitly protected from discrimination, which means they can be fired, evicted or denied service in restaurants or stores. The Virginia Values Coalition is calling on state lawmakers to pass a bipartisan, common sense law to protect LGBTQ Virginians from discrimination in their daily lives.
Thursday’s event included a variety of Coalition members, including the Human Rights Campaign, Equality Virginia, Freedom for All Americans, ACLU of Virginia and the National Center for Transgender Equality, as well as local advocates and business leaders.
“Passing comprehensive protections for LGBTQ Virginians in employment, housing and public spaces will be a top priority for Virginia’s Senate when the General Assembly convenes next year,” said incoming Virginia Senate Majority Leader Dick Saslaw. “This is not only the right thing to do, it’s one of the most effective ways to create jobs, attract talent, boost tourism and drive innovation. I look forward to working with our leaders across the Commonwealth to make nondiscrimination protections a reality and ensure that all LGBTQ Virginians are treated fairly and equally at work and in our communities.”
“Right now, LGBTQ Virginians can be fired, evicted or denied service in public places like restaurants, shops and even doctors' offices just because of who they are or who they love,” said James Parrish, incoming Virginia Values Coalition director. “When voters elected pro-equality majorities in the Virginia House and Senate, they signaled their strong support for passing protections for LGBTQ individuals. It is imperative lawmakers pass these protections during the General Assembly.”
Parrish is stepping down from his leadership role at Equality Virginia on Jan. 1 to oversee the Coalition’s push for statewide nondiscrimination protections for LGBTQ Virginians. The Coalition is working to raise awareness about the challenges facing LGBTQ Virginians through an ongoing advocacy campaign.
“Nondiscrimination protections are long overdue for Virginia’s LGBTQ community,” said Equality Virginia’s incoming executive director Vee Lamneck. “Equality Virginia is proud to work alongside the Virginia Values Coalition to ensure these comprehensive protections in the upcoming General Assembly.”
“The fact that discrimination against LGBTQ people is not against the law in Virginia causes me great anxiety,” said Zakia McKensey, founder of Nationz Foundation, a Richmond nonprofit dedicated to HIV-prevention education. “We need a law to protect us from the many obstacles we are forced to deal with in our daily lives.”
Human Rights Campaign president Alphonso David added: “We don’t just build political power to have it, we build political power to use it. And today, we are seeing the results of the change that so many helped make possible. At a time when we are working to pass the Equality Act in Washington, Virginia has an opportunity to be an example for the nation by passing these crucial protections. Not only is it the right thing to do, it is also supported by approximately 70 percent of Virginians, including a majority of Republican voters.”
“Discrimination is a real and urgent problem that impacts millions of LGBTQ people across the country,” said Freedom for All Americans CEO and National Campaign Director Kasey Suffredini. “With Virginia's newly elected pro-LGBTQ majority in the State House, Virginia has an opportunity to lead the country in 2020 with passage of fully comprehensive nondiscrimination protections, and can spark a fire that fuels other states and our national leaders in Congress to act, so every LGBTQ person in every zip code ultimately secures these same protections. FFAA deeply thanks the diverse coalition of LGBTQ Virginians, faith leaders, business leaders, and other supportive Virginia community members for coming together to ensure dignity and respect for all of their neighbors, and we share the urgency to get this done.”
“All people should be treated fairly and equally and have the opportunity to earn a living, access housing and participate fully in society. Virginia’s lawmakers must pass comprehensive nondiscrimination protections for LGBTQ individuals in the upcoming General Assembly,” said ACLU of Virginia executive director Claire Gastañaga.
<<<
(1)
>>>
“Transgender people in the Commonwealth face disrespect, discrimination and violence every day,” said Mara Keisling, Executive Director of the National Center for Transgender Equality. “It’s time for Virginia to step up and pass nondiscrimination legislation that will show trans Virginians that they are welcome and that their government will help protect them from discrimination.”
Virginians can voice their support for comprehensive nondiscrimination protections at